• Source:
+++
[1]
Diffraction record for Ba3Ti3O8. The PXRD pattern is simulated, not measured: it uses a GGA-PBE-relaxed structure and λ = 1.5418 Å (Cu Kα).

Principal peaks in the range 2θ from 15° to 90°, by angle:
22.1 deg, 4.025 Å, I = 21
30.9 deg, 2.893 Å, I = 100
31.4 deg, 2.846 Å, I = 42
38.3 deg, 2.350 Å, I = 25
43.5 deg, 2.080 Å, I = 16
45.0 deg, 2.013 Å, I = 30
54.7 deg, 1.679 Å, I = 12
55.6 deg, 1.653 Å, I = 19
55.7 deg, 1.651 Å, I = 18
64.3 deg, 1.448 Å, I = 9

abc: 5.795 5.795 7.042
angles: 91.48 91.48 58.80
Atoms (fractional coordinates):
Ba  0.000  0.000  0.000
Ba  0.335  0.335  0.667
Ba  0.665  0.665  0.333
Ti  0.000  0.000  0.500
Ti  0.318  0.318  0.184
Ti  0.682  0.682  0.816
O  0.000  0.500  0.000
O  0.166  0.166  0.339
O  0.172  0.665  0.327
O  0.335  0.828  0.673
O  0.500  0.000  0.000
O  0.665  0.172  0.327
O  0.828  0.335  0.673
O  0.834  0.834  0.661

---

[2]
Diffraction record for PbAu2. The PXRD pattern is simulated, not measured: it uses a GGA-PBE-relaxed structure and λ = 1.5418 Å (Cu Kα).

Principal peaks in the range 2θ from 15° to 90°, by angle:
30.9 deg, 2.894 Å, I = 26
31.5 deg, 2.844 Å, I = 15
36.0 deg, 2.496 Å, I = 56
36.9 deg, 2.433 Å, I = 100
38.3 deg, 2.349 Å, I = 57
55.7 deg, 1.652 Å, I = 13
59.6 deg, 1.550 Å, I = 23
64.4 deg, 1.447 Å, I = 28
65.7 deg, 1.422 Å, I = 13
78.7 deg, 1.216 Å, I = 12

abc: 8.333 5.690 11.374
angles: 90.00 90.00 90.00
Atoms (fractional coordinates):
Pb  0.127  0.008  0.126
Pb  0.127  0.992  0.626
Pb  0.373  0.492  0.626
Pb  0.373  0.508  0.126
Pb  0.627  0.492  0.874
Pb  0.627  0.508  0.374
Pb  0.873  0.008  0.374
Pb  0.873  0.992  0.874
Au  0.000  0.483  0.250
Au  0.000  0.500  0.000
Au  0.000  0.500  0.500
Au  0.000  0.517  0.750
Au  0.228  0.214  0.875
Au  0.228  0.786  0.375
Au  0.272  0.286  0.375
Au  0.272  0.714  0.875
Au  0.500  0.000  0.000
Au  0.500  0.000  0.500
Au  0.500  0.017  0.750
Au  0.500  0.983  0.250
Au  0.728  0.286  0.125
Au  0.728  0.714  0.625
Au  0.772  0.214  0.625
Au  0.772  0.786  0.125

---

[3]
Diffraction record for LiMg2Ir. The PXRD pattern is simulated, not measured: it uses a GGA-PBE-relaxed structure and λ = 1.5418 Å (Cu Kα).

Principal peaks in the range 2θ from 15° to 90°, by angle:
24.2 deg, 3.679 Å, I = 100
28.0 deg, 3.186 Å, I = 31
40.0 deg, 2.253 Å, I = 73
47.3 deg, 1.922 Å, I = 51
49.5 deg, 1.840 Å, I = 9
57.9 deg, 1.593 Å, I = 12
63.6 deg, 1.462 Å, I = 21
65.5 deg, 1.425 Å, I = 12
72.7 deg, 1.301 Å, I = 25
77.9 deg, 1.226 Å, I = 16

abc: 4.506 4.506 4.506
angles: 60.00 60.00 60.00
Atoms (fractional coordinates):
Li  0.000  0.000  0.000
Mg  0.250  0.250  0.250
Mg  0.750  0.750  0.750
Ir  0.500  0.500  0.500

---

[4]
Diffraction record for Zr5Se8. The PXRD pattern is simulated, not measured: it uses a GGA-PBE-relaxed structure and λ = 1.5418 Å (Cu Kα).

Principal peaks in the range 2θ from 15° to 90°, by angle:
27.2 deg, 3.273 Å, I = 10
32.7 deg, 2.737 Å, I = 100
46.5 deg, 1.954 Å, I = 37
47.4 deg, 1.918 Å, I = 35
57.2 deg, 1.611 Å, I = 6
58.8 deg, 1.571 Å, I = 18
68.6 deg, 1.369 Å, I = 11
77.4 deg, 1.234 Å, I = 16
78.8 deg, 1.215 Å, I = 15
87.6 deg, 1.114 Å, I = 12

abc: 25.872 25.872 25.872
angles: 8.50 8.50 8.50
Atoms (fractional coordinates):
Zr  0.000  0.000  0.000
Zr  0.125  0.125  0.125
Zr  0.375  0.375  0.375
Zr  0.625  0.625  0.625
Zr  0.875  0.875  0.875
Se  0.062  0.062  0.062
Se  0.188  0.188  0.188
Se  0.313  0.313  0.313
Se  0.438  0.438  0.438
Se  0.562  0.562  0.562
Se  0.687  0.687  0.687
Se  0.812  0.812  0.812
Se  0.938  0.938  0.938

---

[5]
Diffraction record for SrNi10P6. The PXRD pattern is simulated, not measured: it uses a GGA-PBE-relaxed structure and λ = 1.5418 Å (Cu Kα).

Principal peaks in the range 2θ from 15° to 90°, by angle:
29.9 deg, 2.985 Å, I = 55
33.5 deg, 2.678 Å, I = 51
35.8 deg, 2.510 Å, I = 99
36.5 deg, 2.464 Å, I = 61
37.9 deg, 2.375 Å, I = 73
46.9 deg, 1.939 Å, I = 51
47.9 deg, 1.900 Å, I = 100
52.4 deg, 1.747 Å, I = 44
55.6 deg, 1.653 Å, I = 51
57.3 deg, 1.607 Å, I = 48
+++

• Brief:
Quote the part of the calculation results further above that starts with the line with "31.4 deg," and stops after the one with "0.188".

• Outcome:
31.4 deg, 2.846 Å, I = 42
38.3 deg, 2.350 Å, I = 25
43.5 deg, 2.080 Å, I = 16
45.0 deg, 2.013 Å, I = 30
54.7 deg, 1.679 Å, I = 12
55.6 deg, 1.653 Å, I = 19
55.7 deg, 1.651 Å, I = 18
64.3 deg, 1.448 Å, I = 9

abc: 5.795 5.795 7.042
angles: 91.48 91.48 58.80
Atoms (fractional coordinates):
Ba  0.000  0.000  0.000
Ba  0.335  0.335  0.667
Ba  0.665  0.665  0.333
Ti  0.000  0.000  0.500
Ti  0.318  0.318  0.184
Ti  0.682  0.682  0.816
O  0.000  0.500  0.000
O  0.166  0.166  0.339
O  0.172  0.665  0.327
O  0.335  0.828  0.673
O  0.500  0.000  0.000
O  0.665  0.172  0.327
O  0.828  0.335  0.673
O  0.834  0.834  0.661

---

[2]
Diffraction record for PbAu2. The PXRD pattern is simulated, not measured: it uses a GGA-PBE-relaxed structure and λ = 1.5418 Å (Cu Kα).

Principal peaks in the range 2θ from 15° to 90°, by angle:
30.9 deg, 2.894 Å, I = 26
31.5 deg, 2.844 Å, I = 15
36.0 deg, 2.496 Å, I = 56
36.9 deg, 2.433 Å, I = 100
38.3 deg, 2.349 Å, I = 57
55.7 deg, 1.652 Å, I = 13
59.6 deg, 1.550 Å, I = 23
64.4 deg, 1.447 Å, I = 28
65.7 deg, 1.422 Å, I = 13
78.7 deg, 1.216 Å, I = 12

abc: 8.333 5.690 11.374
angles: 90.00 90.00 90.00
Atoms (fractional coordinates):
Pb  0.127  0.008  0.126
Pb  0.127  0.992  0.626
Pb  0.373  0.492  0.626
Pb  0.373  0.508  0.126
Pb  0.627  0.492  0.874
Pb  0.627  0.508  0.374
Pb  0.873  0.008  0.374
Pb  0.873  0.992  0.874
Au  0.000  0.483  0.250
Au  0.000  0.500  0.000
Au  0.000  0.500  0.500
Au  0.000  0.517  0.750
Au  0.228  0.214  0.875
Au  0.228  0.786  0.375
Au  0.272  0.286  0.375
Au  0.272  0.714  0.875
Au  0.500  0.000  0.000
Au  0.500  0.000  0.500
Au  0.500  0.017  0.750
Au  0.500  0.983  0.250
Au  0.728  0.286  0.125
Au  0.728  0.714  0.625
Au  0.772  0.214  0.625
Au  0.772  0.786  0.125

---

[3]
Diffraction record for LiMg2Ir. The PXRD pattern is simulated, not measured: it uses a GGA-PBE-relaxed structure and λ = 1.5418 Å (Cu Kα).

Principal peaks in the range 2θ from 15° to 90°, by angle:
24.2 deg, 3.679 Å, I = 100
28.0 deg, 3.186 Å, I = 31
40.0 deg, 2.253 Å, I = 73
47.3 deg, 1.922 Å, I = 51
49.5 deg, 1.840 Å, I = 9
57.9 deg, 1.593 Å, I = 12
63.6 deg, 1.462 Å, I = 21
65.5 deg, 1.425 Å, I = 12
72.7 deg, 1.301 Å, I = 25
77.9 deg, 1.226 Å, I = 16

abc: 4.506 4.506 4.506
angles: 60.00 60.00 60.00
Atoms (fractional coordinates):
Li  0.000  0.000  0.000
Mg  0.250  0.250  0.250
Mg  0.750  0.750  0.750
Ir  0.500  0.500  0.500

---

[4]
Diffraction record for Zr5Se8. The PXRD pattern is simulated, not measured: it uses a GGA-PBE-relaxed structure and λ = 1.5418 Å (Cu Kα).

Principal peaks in the range 2θ from 15° to 90°, by angle:
27.2 deg, 3.273 Å, I = 10
32.7 deg, 2.737 Å, I = 100
46.5 deg, 1.954 Å, I = 37
47.4 deg, 1.918 Å, I = 35
57.2 deg, 1.611 Å, I = 6
58.8 deg, 1.571 Å, I = 18
68.6 deg, 1.369 Å, I = 11
77.4 deg, 1.234 Å, I = 16
78.8 deg, 1.215 Å, I = 15
87.6 deg, 1.114 Å, I = 12

abc: 25.872 25.872 25.872
angles: 8.50 8.50 8.50
Atoms (fractional coordinates):
Zr  0.000  0.000  0.000
Zr  0.125  0.125  0.125
Zr  0.375  0.375  0.375
Zr  0.625  0.625  0.625
Zr  0.875  0.875  0.875
Se  0.062  0.062  0.062
Se  0.188  0.188  0.188